As the date that the new General Data Protection Regulation (GDPR) comes into force gets ever nearer, there seems to be a discernible unease amongst business owners and marketers. They appear to be apprehensive and almost fearful of the advent of the new legislation.
But are they are coming at it from the wrong angle? Although it’s true that companies will need to put in considerable planning and effort to become GDPR compliant, it’s truer still that the introduction of the GDPR represents some great opportunities for businesses to get their marketing in order and to reap the rewards that complying with GDPR will bring.
Here are just some of the benefits and opportunities that the GDPR can bring for your business.
Here the page breaks off for data records =
Record 1
A relaxed structure of SbRuW. Source: Alexandria, functional PBE.

Structure (POSCAR):
```
SbRuW
1.0
-3.6301 2.3924 4.2382
-1.2877 1.2849 5.7921
1.0566 2.8019 0.4009
Ru Sb W
1 1 1
direct
0.0115 0.0115 0.9885
0.3355 0.3355 0.6645
0.6530 0.6530 0.3470
```

Values from the calculation:
The energy above the lowest structure with this stoichiometry is 107 meV per atom. Its crystal system is tetragonal.



Record 2
A relaxed structure of Tb5Pm12Th2. Source: Alexandria, functional PBE.

Structure (POSCAR):
```
Tb5Pm12Th2
1.0
-1.8597 6.7296 -6.2860
3.0581 -8.2456 -2.7119
-8.3803 -2.6295 -0.3358
Pm Tb Th
12 5 2
direct
0.5665 0.7384 0.3157
0.0312 0.7037 0.7605
0.4401 0.8801 0.6587
0.3276 0.2963 0.2395
0.8281 0.2616 0.6843
0.1719 0.7384 0.3157
0.9688 0.2963 0.2395
0.4335 0.2616 0.6843
0.6724 0.7037 0.7605
0.9268 0.8536 0.1204
0.5599 0.1199 0.3413
0.0732 0.1464 0.8796
0.7675 0.5351 0.4338
0.2325 0.4649 0.5662
0.0000 0.0000 0.5000
0.2934 0.5867 0.9621
0.7066 0.4133 0.0379
0.6658 0.0000 0.0000
0.3342 0.0000 0.0000
```

Values from the calculation:
The energy above the lowest structure with this stoichiometry is 0 meV per atom. Its crystal system is monoclinic.



Record 3
A relaxed structure of Al2InO2. Source: Alexandria, functional PBE.

Structure (POSCAR):
```
Al2InO2
1.0
-7.4704 1.7140 -0.9363
-1.9420 -6.9122 2.8411
-0.0719 1.0342 2.4669
In Al O
2 4 4
direct
0.0000 0.0000 0.0000
0.5000 0.5000 0.0000
0.1067 0.3933 0.0000
0.3933 0.8933 0.0000
0.6067 0.1067 0.0000
0.8933 0.6067 0.0000
0.8973 0.3973 0.5000
0.6027 0.8973 0.5000
0.1027 0.6027 0.5000
0.3973 0.1027 0.5000
```

Values from the calculation:
The energy above the lowest structure with this stoichiometry is 936 meV per atom. Its crystal system is tetragonal.



Record 4
A relaxed structure of Pr2SnBi. Source: Alexandria, functional PBE.

Structure (POSCAR):
```
Pr2SnBi
1.0
-2.5578 -1.5569 3.4160
-2.8873 -1.9992 -3.0731
4.5968 -4.2831 -1.5326
Pr Bi Sn
2 1 1
direct
0.2108 0.5000 0.9611
0.9506 0.0000 0.4392
0.4839 0.5000 0.5059
0.6857 0.0000 0.9117
```

Values from the calculation:
The energy above the lowest structure with this stoichiometry is 77 meV per atom. Its crystal system is monoclinic.
Here the page continues =
Data quality
Consent to use personal data is a central precept of the GDPR. Essentially, this means that – post-GDPR – your database may end up being considerably leaner. But, it will undoubtedly be better quality.
With cleaner, up-to-date and more relevant data, you will experience fewer bounced emails and limited “gone aways” with your direct mail campaigns. This will probably represent a sea change for metrics, with response and click-through rates suddenly jumping from low numbers to much higher ones.
There is a very immediate opportunity for businesses to clean their data now by running re-engagement campaigns. You can clean and build an opted-in database – before 25th May 2018 – by gaining specific consent from your existing database of prospects that they want to remain on your list to receive marketing communications from you.
Make sure to use a double opt-in process and to only run the campaign once your IT and website systems are GDPR compliant so that you can be sure to securely store the data and also verify how you have received the consent. You can email your existing database of prospects and can also target new prospects by using popups on your website.
You won’t be able to undertake this sort of campaign after the GDPR comes into force, as you won’t have consent to contact them. So do it now, while you still can.
Business and data processes
The GDPR presents a terrific opportunity for companies to review their data processes, mapping the existing flows, analysing their effectiveness and then restructuring them where necessary. Of course, you may need to do this anyway to ensure you’re compliant, but the spin-off is that your business could well benefit from streamlined data processes that bring greater business efficiency.
Transparency and accountability
The GDPR requires that businesses are transparent about how they will collect, store and process personal data. It also places an accountability onus on them, obliging them to demonstrate how they meet its principles of consent, data privacy and data protection.
Those companies that best meet these regulations, by proving transparency and accountability, will have a significant competitive advantage over those that only meet the minimum requirements. If you have several companies to choose between, you will surely choose the one that has a very clear privacy notice, simple and unambiguous sign-up practices and can substantiate how it will securely and sensitively process and hold your data.
IT security
Under the GDPR, companies need to securely collect, store and process personal data. Encryption and pseudonymisation methods will almost certainly be needed to be able to maintain the required levels of data protection. Where enhanced levels of security are introduced, not only will people’s data be better protected, but the improved IT and security within an organisation will bring greater protection for the business as a whole. So implementing new systems and security processes makes both legal and business sense.
A nice side effect of all this is that offering assurances to your customers and contacts that their personal data is protected establishes and builds confidence in you as a reputable organisation.
Better customer engagement
Because contacts will need to opt in to receive your communications, only the most engaged prospects are likely to remain on your databases. You will be communicating only with the most valuable customers and prospects; those that really want to hear from you.
With smaller numbers of contacts, you will have more time to enhance the data you hold. With better data on these already-engaged prospects, your marketing will benefit from even finer segmentation and targeting, resulting in far higher response rates and a higher percentage return on your marketing investment.
A burden or an opportunity?
On the face of it, the GDPR may seem like just an annoying compliance burden. And that’s precisely why many companies have delayed planning for it. But if you view the GDPR as an opportunity for change, there is the very real prospect that it will have a positive impact on your sales and marketing operations.
With revamped processes, increased transparency, better data quality, greater customer engagement and improved security, you will generate and build customer trust. And in turn, this will help drive sales, enhance customer retention and boost your profitability. So while the GDPR may be a bit of a compliance burden, it also opens up all sort of opportunities that make sound commercial sense.